Written by James M Sandbrook of Tokoroa, New Zealand.
Humility or humbleness is a quality of being courteously respectful
of others.
Having a love for others to the degree that you will put them first in a quiet way. Humility is being modest, reverential. Meekness, lowliness, the opposite of pride or haughtiness. Being humble is a beautiful thing. The loud are not humble as they boast and talk in a high manner. A good worthy example of humbleness or meekness would be Jesus. What we know of Jesus is of that gentle caring and loving nature that was shared among the people that Jesus met. He was followed and listened to because of the love and caring that Jesus shared amongst the people of that time. Being humble is something that we should want to be. A loving heart comes from being a loving kind person - God looks after the humble so there is no need to be loud and aggressive. I believe the first test of a truly great man is his humility. I do
not mean, by humility, doubt of his own power, or hesitation in speaking
his opinions; but a right understanding of the relation between what he
can do and say and the rest... of the world's sayings and doings. All the
great men not only know their business, but usually know that they know
it, and are not only right in their main opinions, but usually know that
they are right in them; only, they do not think much of them-
Forgiving is a cleansing of the soul, a way to clean away pain and suffering, to clear the soul of badness then to replace it with understanding, care for our enemies, love for our neighbours everywhere, and a pure heart for God and all he has done for us - J M Sandbrook. |
Remember that each day is a miracle and so are you! - J M Sandbrook. |
True humility, The highest virtue, mother of them all - Alfred, Lord Tennyson. |
He that is humble, ever shall Have God to be his Guide - John Bunyan, The Pilgrim's Progress. |
An humble able man is a jewel worth a kingdom - William Penn. |
Never give up, never stop trying, God made you a creature of fine tastes, common-sense, an emotional and loving person who needs to care and be with people day by day, interacting with them in many ways and blessing them with your presence. Be with those you love, those important to you. That is worth striving for, every day! - J M sandbrook. |
Even though others try to help you with the best intentions, always remember you should go with your own judgements, feelings and instincts - that is why God gave them to you. Sometimes we have to do things our way in order for something new and wonderful to happen. Your future is yours, its between you and God. New things come from reaching out... - J M Sandbrook. |
# 1
Below is a structure of composition I6O8P2Sn4, with properties calculated with ωB97M-V with the def2-TZVPD basis set.

Properties
HOMO (eV): 4.3
Kohn-Sham gap (eV): 2.432
Molar mass (g mol⁻¹): 1426.2

ORCA input file:
```
! RIJCOSX wB97M-V def2-TZVPD def2/J DEFGRID3
* xyz -4 1
Sn -1.494 3.644 0.481
Sn 2.435 0.464 1.140
Sn 1.465 -0.116 -2.726
Sn -0.702 -0.807 0.096
I -1.531 -2.291 3.726
I -3.334 3.240 -0.840
I -4.492 -0.554 2.283
I -1.321 -1.293 -4.298
I -3.700 -3.351 -0.385
I -0.110 1.966 3.897
P 0.762 2.311 -0.724
O 2.257 2.041 -0.447
O 0.057 1.925 0.689
O 0.105 1.240 -1.668
O 0.180 3.849 -1.233
P 1.986 -2.533 0.075
O 0.415 -2.562 -0.908
O 2.903 -3.674 -0.220
O 1.408 -2.218 1.530
O 2.709 -1.281 -0.468
*
```

=====

# 2
Below is a structure of composition CHF3MgNO3S2V, with properties calculated with ωB97M-V with the def2-TZVPD basis set.

Properties
ΔE to the lowest compared entry with this formula, charge and spin (kJ/mol): 0.0
HOMO (spin up / spin down) (eV): -12.4 / -12.4
Kohn-Sham gap (spin up / spin down) (eV): 6.438 / 6.339
Molar mass (g mol⁻¹): 271.4

ORCA input file:
```
! RIJCOSX wB97M-V def2-TZVPD def2/J DEFGRID3
* xyz 1 4
V 1.740 1.874 0.910
N -0.388 -0.124 -0.090
S 1.053 -0.497 -0.706
O 2.112 0.602 -0.397
S -0.509 0.917 1.308
O -1.586 1.947 0.653
C 1.663 -1.777 0.533
F 0.890 -2.846 0.463
F 1.618 -1.282 1.766
F 2.909 -2.110 0.245
Mg -1.878 0.896 -0.918
O -3.470 0.865 -1.877
H -4.153 1.535 -1.889
*
```

=====

# 3
Below is a structure of composition C35H37CrN12, with properties calculated with ωB97M-V with the def2-TZVPD basis set.

Properties
HOMO (spin up / spin down) (eV): -7.8 / -10.3
Kohn-Sham gap (spin up / spin down) (eV): 4.669 / 6.989
Molar mass (g mol⁻¹): 677.8

ORCA input file:
```
! RIJCOSX wB97M-V def2-TZVPD def2/J DEFGRID3
* xyz 1 5
Cr -0.689 0.658 0.145
C -1.601 -0.247 -3.861
C -0.357 -0.437 -4.512
C 0.796 -0.328 -3.801
C 0.783 -0.032 -2.404
N -0.435 0.169 -1.804
C -1.573 0.053 -2.539
N 1.954 0.000 -1.773
C 2.122 0.235 -0.473
N 1.163 0.578 0.473
C 1.755 0.765 1.714
N 1.185 1.121 2.856
C -0.107 1.401 3.017
C -0.517 1.870 4.302
C -1.804 2.231 4.548
C -2.766 2.136 3.513
C -2.344 1.668 2.313
N -1.066 1.285 2.042
C 3.161 0.524 1.550
C 4.215 0.571 2.464
C 5.481 0.292 1.999
C 5.709 -0.031 0.645
C 4.674 -0.080 -0.263
C 3.387 0.201 0.201
H -2.542 -0.325 -4.386
H -0.329 -0.675 -5.568
H 1.768 -0.478 -4.250
H -2.505 0.215 -2.002
H 0.254 1.932 5.057
H -2.094 2.593 5.526
H -3.799 2.414 3.663
H -3.062 1.551 1.503
H 4.032 0.822 3.501
H 6.321 0.320 2.682
H 6.718 -0.245 0.318
H 4.843 -0.329 -1.303
C -0.664 5.472 -3.834
C -0.569 5.653 -2.324
N -1.247 4.593 -1.564
C -2.685 4.738 -1.336
C -3.546 3.904 -2.281
C -0.599 3.500 -1.152
C 0.871 3.378 -1.428
N -1.184 2.531 -0.490
H -0.044 6.215 -4.336
H -1.689 5.599 -4.186
H -0.322 4.480 -4.136
H -1.031 6.595 -2.033
H 0.468 5.709 -2.009
H -2.921 5.792 -1.458
H -2.907 4.502 -0.292
H -3.404 4.219 -3.314
H -4.600 4.030 -2.029
H -3.302 2.842 -2.225
H 1.421 4.120 -0.847
H 1.095 3.534 -2.482
## The quantum chemistry results stop here
When you were a little child, one day somebody came up to you and said that God loves you or you read it or something like that - the child's innocence probably knows God so much better than we do when we grow up, because the child accepts Gods love with genuine trust and faith. Think of God as that little child in you once did - J M Sandbrook. |
If you have an addiction that you want to beat, each time you put it aside you beat it - it is not a let down if you get back to that addiction because for everytime you beat it you went back to it so the account is even - one day, and do believe this, one day you will beat it and the account won't be even because you will have won! - J M Sandbrook. |
God, give us grace to accept with serenity the things that cannot be changed, courage to change the things that should be changed, and the wisdom to distinguish the one from the other - Niebuhr.. |